Contents:
<<<
Computed, not measured: the molecule C5H7NO, with ωB97M-V/def2-TZVPD.

Values from the calculation:
E_HOMO	-9.394	eV
electronic energy	-324.65284	a.u.
LUMO	0.62	eV
SMILES	[H]/N=C(/C=C)OC=C
relative energy (zero: lowest compared OMol25 entry of this formula, charge and spin)	188.1	kJ/mol

ORCA input file:
```
! wB97M-V def2-TZVPD RIJCOSX def2/J DEFGRID3
* xyz 0 1
H -0.748 -2.082 -0.987
N -1.291 -1.531 -0.320
C -0.866 -0.342 -0.280
C -1.483 0.671 0.594
C -1.100 1.947 0.633
O 0.165 0.142 -1.070
C 1.443 -0.285 -0.818
C 1.848 -1.091 0.157
H -2.288 0.295 1.217
H -0.299 2.311 -0.002
H -1.579 2.660 1.296
H 2.121 0.163 -1.538
H 1.172 -1.539 0.878
H 2.904 -1.320 0.240
*
```


Computed, not measured: a cluster of 2 separate species, CBrNO4 in total, with ωB97M-V/def2-TZVPD.

Values from the calculation:
E_HOMO (spin up / spin down)	-10.924 / -10.892	eV
electronic energy	-2967.71005	a.u.
LUMO (spin up / spin down)	-2.65 / -2.80	eV
SMILES	O=NOBr.O=C=O
relative energy (zero: lowest compared OMol25 entry of this formula, charge and spin)	17.4	kJ/mol

ORCA input file:
```
! wB97M-V def2-TZVPD RIJCOSX def2/J DEFGRID3
* xyz 0 1
O 0.769 1.437 -0.005
N -0.081 0.617 0.181
O -1.051 0.618 0.917
Br -1.891 2.359 2.003
O 0.934 -1.970 0.048
C 0.737 -1.657 -1.027
O 0.582 -1.403 -2.117
*
```


Computed, not measured: a cluster of 2 separate species, C35H29BF3NO2S in total, with ωB97M-V/def2-TZVPD.

Values from the calculation:
E_HOMO	-5.983	eV
electronic energy	-2279.02675	a.u.
LUMO	-3.12	eV
relative energy (zero: lowest compared OMol25 entry of this formula, charge and spin)	22.6	kJ/mol

ORCA input file:
```
! wB97M-V def2-TZVPD RIJCOSX def2/J DEFGRID3
* xyz 0 1
C 2.337 -3.001 4.010
C 2.118 -1.542 3.965
N 3.146 -0.642 3.961
C 4.564 -0.973 4.005
C 2.632 0.659 3.873
C 1.231 0.559 3.816
C 0.474 1.716 3.627
C 1.110 2.931 3.556
C 2.499 3.023 3.648
C 3.270 1.897 3.796
C 0.886 -0.849 3.903
C -0.382 -1.459 3.805
C -1.673 -0.845 3.906
C -1.950 0.229 4.776
C -3.205 0.783 4.840
C -4.226 0.288 4.046
C -3.991 -0.780 3.199
C -2.744 -1.351 3.141
H 1.403 -3.560 4.002
H 2.924 -3.320 3.147
H 2.881 -3.277 4.915
H 5.166 -0.070 3.989
H 4.786 -1.520 4.919
H 4.834 -1.583 3.146
H -0.590 1.645 3.512
H 0.528 3.827 3.422
H 2.974 3.988 3.595
H 4.342 1.961 3.851
H -0.387 -2.512 3.574
H -1.171 0.587 5.424
H -3.401 1.598 5.517
H -5.207 0.730 4.093
H -4.787 -1.162 2.581
H -2.561 -2.177 2.477
C -0.122 0.215 -8.907
C -0.577 0.235 -7.503
C -1.706 0.815 -7.028
C -1.870 0.673 -5.616
C -0.875 -0.008 -5.019
B -0.756 -0.328 -3.453
C 0.000 0.880 -2.719
C 1.370 0.957 -2.794
C 2.031 1.993 -2.169
C 1.315 2.948 -1.476
C 2.029 4.094 -0.783
F 1.566 5.252 -1.298
F 1.757 4.024 0.536
F 3.357 3.983 -0.996
C -0.061 2.865 -1.404
C -0.717 1.828 -2.031
O -2.126 -0.479 -2.877
C -2.106 -1.770 -2.406
C -0.854 -2.402 -2.632
C -0.653 -3.706 -2.216
C -1.680 -4.381 -1.581
C -2.900 -3.768 -1.365
C -3.123 -2.465 -1.775
O 0.038 -1.576 -3.269
S 0.295 -0.505 -6.190
H -0.824 0.738 -9.556
H 0.851 0.698 -9.006
H -0.029 -0.810 -9.269
H -2.405 1.341 -7.662
H -2.715 1.065 -5.070
H 1.916 0.202 -3.331
H 3.105 2.080 -2.213
H -0.601 3.624 -0.860
H -1.789 1.741 -1.979
H 0.303 -4.168 -2.392
H -1.520 -5.391 -1.244
H -3.687 -4.308 -0.865
H -4.070 -1.980 -1.618
*
```


Computed, not measured: a structure of composition C39H23Cl5F6N5O3TeZr, with ωB97M-V/def2-TZVPD.

Values from the calculation:
E_HOMO	-10.558	eV
electronic energy	-5214.58478	a.u.
LUMO	-4.15	eV
relative energy (zero: lowest compared OMol25 entry of this formula, charge and spin)	179.6	kJ/mol

ORCA input file:
```
! wB97M-V def2-TZVPD RIJCOSX def2/J DEFGRID3
* xyz 1 1
Zr 0.590 1.294 -0.186
N 0.855 -1.596 3.156
C 0.908 -1.295 1.815
N 1.526 -0.154 1.409
C 1.957 0.755 2.309
N 2.543 1.872 1.884
N 2.415 2.059 0.570
C 3.043 2.957 -0.113
C 2.724 3.020 -1.528
C 3.167 4.056 -2.356
C 2.751 4.094 -3.676
C 1.948 3.066 -4.152
C 1.582 2.046 -3.281
N 1.935 2.025 -1.998
C 1.845 0.509 3.733
C 2.295 1.412 4.698
C 2.158 1.114 6.037
C 1.578 -0.090 6.428
C 1.117 -0.994 5.490
>>>

Job:
The reader should echo the lines earlier on from the first line to the one with "-5.070" word for word.

Completed:
Computed, not measured: the molecule C5H7NO, with ωB97M-V/def2-TZVPD.

Values from the calculation:
E_HOMO	-9.394	eV
electronic energy	-324.65284	a.u.
LUMO	0.62	eV
SMILES	[H]/N=C(/C=C)OC=C
relative energy (zero: lowest compared OMol25 entry of this formula, charge and spin)	188.1	kJ/mol

ORCA input file:
```
! wB97M-V def2-TZVPD RIJCOSX def2/J DEFGRID3
* xyz 0 1
H -0.748 -2.082 -0.987
N -1.291 -1.531 -0.320
C -0.866 -0.342 -0.280
C -1.483 0.671 0.594
C -1.100 1.947 0.633
O 0.165 0.142 -1.070
C 1.443 -0.285 -0.818
C 1.848 -1.091 0.157
H -2.288 0.295 1.217
H -0.299 2.311 -0.002
H -1.579 2.660 1.296
H 2.121 0.163 -1.538
H 1.172 -1.539 0.878
H 2.904 -1.320 0.240
*
```


Computed, not measured: a cluster of 2 separate species, CBrNO4 in total, with ωB97M-V/def2-TZVPD.

Values from the calculation:
E_HOMO (spin up / spin down)	-10.924 / -10.892	eV
electronic energy	-2967.71005	a.u.
LUMO (spin up / spin down)	-2.65 / -2.80	eV
SMILES	O=NOBr.O=C=O
relative energy (zero: lowest compared OMol25 entry of this formula, charge and spin)	17.4	kJ/mol

ORCA input file:
```
! wB97M-V def2-TZVPD RIJCOSX def2/J DEFGRID3
* xyz 0 1
O 0.769 1.437 -0.005
N -0.081 0.617 0.181
O -1.051 0.618 0.917
Br -1.891 2.359 2.003
O 0.934 -1.970 0.048
C 0.737 -1.657 -1.027
O 0.582 -1.403 -2.117
*
```


Computed, not measured: a cluster of 2 separate species, C35H29BF3NO2S in total, with ωB97M-V/def2-TZVPD.

Values from the calculation:
E_HOMO	-5.983	eV
electronic energy	-2279.02675	a.u.
LUMO	-3.12	eV
relative energy (zero: lowest compared OMol25 entry of this formula, charge and spin)	22.6	kJ/mol

ORCA input file:
```
! wB97M-V def2-TZVPD RIJCOSX def2/J DEFGRID3
* xyz 0 1
C 2.337 -3.001 4.010
C 2.118 -1.542 3.965
N 3.146 -0.642 3.961
C 4.564 -0.973 4.005
C 2.632 0.659 3.873
C 1.231 0.559 3.816
C 0.474 1.716 3.627
C 1.110 2.931 3.556
C 2.499 3.023 3.648
C 3.270 1.897 3.796
C 0.886 -0.849 3.903
C -0.382 -1.459 3.805
C -1.673 -0.845 3.906
C -1.950 0.229 4.776
C -3.205 0.783 4.840
C -4.226 0.288 4.046
C -3.991 -0.780 3.199
C -2.744 -1.351 3.141
H 1.403 -3.560 4.002
H 2.924 -3.320 3.147
H 2.881 -3.277 4.915
H 5.166 -0.070 3.989
H 4.786 -1.520 4.919
H 4.834 -1.583 3.146
H -0.590 1.645 3.512
H 0.528 3.827 3.422
H 2.974 3.988 3.595
H 4.342 1.961 3.851
H -0.387 -2.512 3.574
H -1.171 0.587 5.424
H -3.401 1.598 5.517
H -5.207 0.730 4.093
H -4.787 -1.162 2.581
H -2.561 -2.177 2.477
C -0.122 0.215 -8.907
C -0.577 0.235 -7.503
C -1.706 0.815 -7.028
C -1.870 0.673 -5.616
C -0.875 -0.008 -5.019
B -0.756 -0.328 -3.453
C 0.000 0.880 -2.719
C 1.370 0.957 -2.794
C 2.031 1.993 -2.169
C 1.315 2.948 -1.476
C 2.029 4.094 -0.783
F 1.566 5.252 -1.298
F 1.757 4.024 0.536
F 3.357 3.983 -0.996
C -0.061 2.865 -1.404
C -0.717 1.828 -2.031
O -2.126 -0.479 -2.877
C -2.106 -1.770 -2.406
C -0.854 -2.402 -2.632
C -0.653 -3.706 -2.216
C -1.680 -4.381 -1.581
C -2.900 -3.768 -1.365
C -3.123 -2.465 -1.775
O 0.038 -1.576 -3.269
S 0.295 -0.505 -6.190
H -0.824 0.738 -9.556
H 0.851 0.698 -9.006
H -0.029 -0.810 -9.269
H -2.405 1.341 -7.662
H -2.715 1.065 -5.070